____________
Version one
# C6H39NO13

A 13-piece molecular cluster, C6H39NO13 overall (the ωB97M-V functional and the def2-TZVPD basis, the OMol25 dataset).

The gap between HOMO and LUMO is 9.5 eV.

```
! RIJCOSX wB97M-V def2-TZVPD def2/J DEFGRID3
* xyz 0 1
O 1.21413 4.71564 -1.32080
O 0.27642 2.14892 -3.16571
O 2.47024 -1.97516 1.91437
O -0.22465 1.99693 1.83774
O -1.58371 -0.04167 -2.74596
O -0.49320 -2.59118 4.51399
O 2.24548 -4.43546 -1.31650
O -2.61263 1.86538 -0.67305
O -2.11437 3.88358 1.44939
O 1.42141 0.55890 3.01087
O 3.69320 3.57646 -1.19179
O -1.86837 3.92631 -2.80309
O 2.21020 1.24335 -0.00134
N 0.90233 -1.60096 -1.86929
C 0.52730 -2.71708 -1.02067
C -0.98770 -1.78034 1.72089
C 0.92307 -4.04954 -1.57598
C -1.94617 -0.59198 1.44006
C -1.19520 -3.02232 0.83165
C -1.03032 -2.76116 -0.68967
H -0.93456 -0.51409 -2.19021
H 0.58519 -4.18053 -2.60814
H -1.91061 1.56849 -1.27601
H -1.44903 0.26888 0.97331
H 1.91575 4.96227 -1.92640
H -1.22492 4.50140 -3.22418
H 1.45279 4.06852 -0.66694
H -0.10644 1.27172 -3.00350
H 0.38142 -4.84757 -1.01859
H 3.01226 -3.96506 -1.64464
H 1.25301 1.11767 0.10997
H 1.43497 -1.85589 -2.69236
H -0.58317 -3.86356 1.14884
H -1.12549 1.73057 2.07975
H 0.49574 0.41577 3.16612
H 1.35106 -0.78404 -1.48431
H 1.75620 -1.44041 2.27357
H -2.99561 2.59474 -1.17991
H 1.56421 1.37999 2.55580
H 2.44376 -2.76477 2.45761
H -2.37988 -0.22621 2.37788
H -1.28272 3.18956 -2.56467
H -2.79670 -0.93954 0.81392
H -2.20875 -3.47934 0.94907
H 3.66786 2.73758 -0.71508
H 3.96236 3.35357 -2.09119
H -2.71520 4.61945 1.55275
H -2.45687 -0.42400 -2.65995
H 0.42724 -2.81861 4.72214
H -0.49929 2.93919 1.85462
H -0.72855 -1.87635 5.13624
H -1.15505 -2.19159 2.74626
H 1.21842 2.20871 -3.04121
H -0.02303 -1.29048 1.53736
H -2.35315 3.42405 0.63496
H -1.70711 -1.91825 -0.94715
H 2.39497 0.75768 0.84949
H -1.45775 -3.56999 -1.30452
H 0.94924 -2.50816 -0.04575
*
```

---

Version two
# C6H39NO13

A 13-piece molecular cluster, C6H39NO13 overall (the ωB97M-V functional and the def2-TZVPD basis, the OMol25 dataset).

The gap between HOMO and LUMO is 9.5 eV.

```
! RIJCOSX wB97M-V def2-TZVPD def2/J DEFGRID3
* xyz 0 1
O -2.24800 -1.24948 -1.78794
O -3.65760 1.05680 -2.24729
O -2.84623 -1.28954 2.09795
O 3.70030 -0.79477 1.06386
O -0.36771 -3.15670 -2.27990
O -2.23960 2.96928 -0.92084
O 1.56115 -1.61684 2.32775
O -3.47173 0.26602 0.21136
O 0.30459 3.43906 -1.71586
O -0.72488 -2.79953 1.81992
O 0.97884 -3.88716 0.17592
O 3.43538 2.13035 0.67877
O 0.86865 0.93366 2.67110
N 1.04538 0.93159 -0.36348
C 0.04442 1.74711 1.79662
C 1.80560 0.15312 -2.74810
C -0.04010 0.70988 0.65828
C -1.35524 1.86078 2.39492
C 0.91417 -0.06818 -1.47151
C 3.30925 -0.21296 -2.38439
H 1.93423 0.92275 0.08107
H -3.14184 -2.19342 2.34686
H -2.10073 2.16989 1.60752
H 0.77052 4.13293 -1.83707
H -3.31898 -0.28433 0.91707
H -0.43408 -3.26287 0.99570
H 0.97013 -2.24611 1.98933
H -0.98309 0.83529 0.15059
H -1.09408 -3.66848 -2.55457
H 1.56575 -3.17808 0.06139
H -3.27300 1.92495 -1.86663
H 1.80888 1.24955 -2.83359
H 3.74407 -0.80506 2.11766
H 3.46218 -1.19299 -2.71331
H -0.70515 -3.54149 2.45138
H -0.98784 -2.36797 -2.15062
H 1.80725 1.11400 2.66586
H 1.11100 -0.81843 2.61088
H 0.74511 2.83648 -1.28512
H -2.73009 1.06501 0.20460
H 3.98167 0.56221 -2.81015
H 3.85698 2.39571 -0.17062
H -1.44730 2.53695 3.23370
H 0.47347 2.66485 1.55091
H 0.01413 -0.34750 0.96733
H 1.30961 -0.40912 -3.59394
H -2.64431 3.72107 -1.24640
H -1.30841 2.94759 -1.16614
H -2.52439 -1.06853 -0.88337
H 3.63250 1.14722 0.70549
H 3.61825 0.05313 -1.39620
H 1.20323 -1.04260 -1.02125
H 2.68638 -0.95052 1.00400
H -2.49812 -0.48538 -2.41933
H -1.93273 -1.35486 1.93160
H -4.18028 0.63444 -1.58883
H 0.59175 -4.12258 -0.64427
H -0.10656 -0.10829 -1.87457
H -1.60771 0.86574 2.77414
____________
The reader should work out how many lines further up have the word "molecular" in them; a number is enough.
2